Ever wondered what the RNP Approach in aviation is? We have already discussed RNAV Approach in our previous article. If you haven’t read it, we advise you to check out the technical blog which will help you to understand RNP Approach.
RNAV and RNP Approaches are related to each other because RNP is the advanced form of the RNAV Approach. Today, we will discover ‘What is RNP Approach?’ and also explore the major difference between RNAV and RNP.
Without further delay, let’s get started.
Table of Contents
What is RNP Approach? How does it work?
RNP stands for Required Navigational Performance, and it is the type of RNAV Approach with the added requirements for onboard performance monitoring and alerting (OBPMA).
The majority of flights were solely operated upon Area Navigation (RNAV) without the use of ground-based navigational aids. Now the airspace is continuously getting more and more traffic leading to optimum congestion. To mitigate the adverse consequences of air traffic congestion, and enhance airspace efficiency, RNP Approach was introduced.
Basically, RNP is a self-alerting and monitoring system equipped on board the aircraft. It alerts the pilot when the aircraft begins to drift from its tolerances which are significantly lower meaning more accuracy than a regular RNAV Approach.

RNP requirements vary depending on the phase of flight such as the arrival, in-route phase, intermediate phase, oceanic phase of flight, final approach, missed approach, departure phase, and more.
RNP Approach requires your aircraft to be equipped with the Required Navigation performance. Due to this, it can monitor the navigation performance of the aircraft and inform the pilot whether the operational requirements during an operation are met or not.
The Aircraft Flight Manual (AFM) or avionics documents for your aircraft should specifically state the aircraft’s RNP eligibilities. Contact the manufacturer of the avionics or the aircraft if this information is missing or incomplete. NavSpecs should be considered different from one another, not “better” or “worse” based on the described lateral navigation accuracy. It is this concept that requires each NavSpec eligibility to be listed separately in the avionics documents or AFM.
What are the different types of RNP Approaches?
The RNP Approach systems may differ according to the country standard, airline SOPs, and other airspace uses. However, the major types of RNP approaches are listed below with their definition.

-- Materials data that have nothing to do with the article --
'''
1.
First-principles (PBE-GGA) data for a geometry-optimized MnCuPt2 structure, as listed in the Materials Project database.

Summary:
energy relative to the elements: -0.261 eV/atom
crystal system: cubic
V: 13.8 Å³/atom
symmetry: Fm-3m

Lattice parameters (Å, degrees): 4.270 4.270 4.270 60.00 60.00 60.00
Sites, in units of the cell vectors:
Mn 0.000 0.000 0.000
Cu 0.500 0.500 0.500
Pt 0.250 0.250 0.250
Pt 0.750 0.750 0.750


2.
First-principles (PBE-GGA) data for a geometry-optimized Mn2CuSb2Pt structure, as listed in the Materials Project database.

Summary:
energy relative to the elements: -0.134 eV/atom
crystal system: trigonal
V: 19.8 Å³/atom
symmetry: R3m

Lattice parameters (Å, degrees): 7.583 7.583 7.583 33.60 33.60 33.60
Sites, in units of the cell vectors:
Mn 0.750 0.750 0.750
Mn 0.249 0.249 0.249
Cu 0.125 0.125 0.125
Sb 0.002 0.002 0.002
Sb 0.498 0.498 0.498
Pt 0.625 0.625 0.625


3.
First-principles (PBE-GGA) data for a geometry-optimized RbMnCuS2 structure, as listed in the Materials Project database.

Summary:
energy relative to the elements: -0.924 eV/atom
maximum piezoelectric response: 0.4 C/m2
crystal system: tetragonal
V: 22.0 Å³/atom
symmetry: I-4m2

Lattice parameters (Å, degrees): 7.422 7.422 7.422 148.71 148.71 44.83
Sites, in units of the cell vectors:
Rb 0.000 0.000 0.000
Mn 0.250 0.750 0.500
Cu 0.750 0.250 0.500
S 0.650 0.650 0.000
S 0.350 0.350 0.000


4.
First-principles (PBE-GGA) data for a geometry-optimized MnCu2S2 structure, as listed in the Materials Project database.

Summary:
energy relative to the elements: -0.403 eV/atom
crystal system: cubic
V: 16.4 Å³/atom
symmetry: F-43m

Lattice parameters (Å, degrees): 7.733 7.733 7.733 60.00 60.00 60.00
Sites, in units of the cell vectors:
Mn 0.602 0.133 0.133
Mn 0.133 0.602 0.133
Mn 0.133 0.133 0.602
Mn 0.133 0.133 0.133
Cu 0.261 0.261 0.739
Cu 0.739 0.739 0.261
Cu 0.261 0.739 0.261
Cu 0.739 0.261 0.739
Cu 0.739 0.261 0.261
Cu 0.261 0.739 0.739
Cu 0.750 0.750 0.750
Cu 0.500 0.500 0.500
S 0.375 0.875 0.875
S 0.875 0.375 0.875
S 0.875 0.875 0.375
S 0.875 0.875 0.875
S 0.889 0.370 0.370
S 0.370 0.889 0.370
S 0.370 0.370 0.889
S 0.370 0.370 0.370


5.
First-principles (PBE-GGA) data for a geometry-optimized MnCu2SiS4 structure, as listed in the Materials Project database.

Summary:
energy relative to the elements: -0.757 eV/atom
maximum piezoelectric response: 0.3 C/m2
crystal system: orthorhombic
V: 18.6 Å³/atom
symmetry: Pmn2_1

Lattice parameters (Å, degrees): 6.184 6.413 7.507 90.00 90.00 90.00
Sites, in units of the cell vectors:
Mn 0.330 0.155 0.000
Mn 0.830 0.845 0.500
Cu 0.321 0.678 0.748
Cu 0.821 0.322 0.752
Cu 0.321 0.678 0.252
Cu 0.821 0.322 0.248
Si 0.331 0.176 0.500
Si 0.831 0.824 0.000
S 0.982 0.188 0.500
S 0.482 0.812 0.000
S 0.450 0.336 0.267
S 0.950 0.664 0.233
S 0.941 0.143 0.000
S 0.441 0.857 0.500
S 0.450 0.336 0.733
S 0.950 0.664 0.767


6.
'''

RNP Approach (RNP APCH)
There are four minima types in aviation which are Lateral Navigation (LNAV), LNAV/VNAV (Vertical Navigation), Localizer Performance with Vertical Guidance (LPV), and Localizer Performance (LP).
RNP APCH can facilitate all these minimum levels of flight with the use of RNAV (GPS). For instance, GPS technology can provide lateral guidance to support LNAV minima. Likewise, SBAS Vertical, or Barometric Vertical offers vertical guidance to support LNAV/VNAV minima.
For LPV, or LP Minima, pilots need to navigate using a Space-Based Navigation System (SBAS). A Radius to Fix (RF) turn is not mandatory for RNP APCH.
RNP APCH may also offer a precision approach when using GBAS Landing System (GLS) constructed with RNP NavSpecs. RNP APCH has a lateral accuracy value of 1 in the terminal and missed approach segments and essentially scales to RNP 0.3 (or 40 meters with SBAS) in the final approach.
What is a Lateral Accuracy Value? It is a value represented as a distance in nautical miles from the intended centerline of a procedure, route, or path. This value is applicable to selected airspace, route, or procedure.
RNP Authorization Required Approach (RNP AR APCH)
RNP AR APCH is among the strict approaches that require special training, crew standards, and FAA authorization. This approach requires a Radius to Fix (RF) turn, and scalability.
Barometric Vertical Guidance, and SBAS Guidance are required for RNP AR APCH vertical navigation performance. This stringent approach procedure requires an aircraft to meet various requirements including design, standard operating processes, performance, training, and specific procedure design.
The Lateral Accuracy Values for RNP AR APCH can fall below 1 in the Terminal, and Missed Approach Segemntes while it can decline to RNP 0.3 or lower in the final approach.
RNP Authorization Required Departure (RNP AR DP)
RNP AR DP features the same requirements, and procedures as the RNP AR APCH. The only difference is the Lateral Accuracy Values can scale to no lower than RNP 0.3 in the initial departure flight path.
Advanced RNP (A-RNP)
The advanced Required Navigation Performance (RNP) approach is an increasingly popular navigation system in modern aviation. This NavSpec requires a minimum set of functions to be enabled within the aircraft avionics suite, such as the capability to perform RF turns and scalable RNP, as well as generate parallel offset flight paths.
Furthermore, certain airspace may require this system to have higher continuity such as dual systems, while optional options like fixed radius transitions and Time of Arrival Control can be used for en-route use.

Types of RNP Specifications
RNP 1, RNP 2, RNP 4, RNP 10, and RNP 0.3 are the specification levels designed for various flight applications listed in the table below.
RNP AR Approach Segments | 0.1 to 1.0 |
RNP Approach Segments | 0.3 to 1.0 |
Terminal and En Route | 1.0 |
En Route | 2.0 |
Projected for Oceanic/Remote Areas where 30 Nm Horizontal Separation is applied. | 4.0 |
Oceanic/Remote Areas where 50 N, Lateral Separation is applied. | 10.0 |
Types of RNP Approaches and their Requirement levels
RNP AR | High (aircraft upgrade required, crews to be trained) | Medium | High (Use of RF Legs) | Heavy |
RNP APCH | Low | Medium/High | Low | Light |
Advanced RNP (RNP APCH with RF Legs) | Low | Medium | Medium (Use of RF Legs) | Medium |
Watch this video by Captain Joe in which he demonstrates flying an RNP Approach with the Boeing 747.
What is the difference between RNAV and RNP?
The major difference between RNAV, and RNP approaches is the operational requirements.
RNP is similar to Area Navigation (RNAV) however, it requires strict operations that comprise on-board navigation performance monitoring, and alerting capability.

RNP offers more accurate navigation than the RNAV approach. Plus, aircraft must meet the RNP operational standards, and special training must be provided to the flight crews.
On Board Performance Monitoring and Alerting System (OBPMS) is not mandatory for RNAV Approach but it is critical for RNP Approach.
RNAV 1, RNAV 2, RNAV 5, and RNAV 10 are the levels of RNAV operations. On the other hand, RNP features different levels including RNP 1, RNP 2, RNP 4, and RNP 0.3.

Another major difference between RNAV, and RNP includes the use of airspace. RNAV Approach makes improved use of airspace due to geographically defined Waypoints. In contrast, RNP makes optimum use of airspace due to the navigation system’s capability to contain aircraft position within a tunnel as shown in the figure below.
Conclusion on ‘What is RNP Approach?’
As we come to the end of this technical blog, we explored RNP Approach with its types, requirements, and differences from RNAV Approach.
In a nutshell, RNP Approach is the advanced version of the RNAV Approach that features some critical requirements to operate flights safely, and precisely.
To become eligible for RNP Approach, the aircraft must fulfill performance, design, and operational requirements. Plus, flight crews must be provided with special RNP Approach training.